The Case for Enlarging the House of Representatives
Part IV: Alternative Proposals for House Enlargement
1. Wyoming Rule: Add 139 Seats
The Wyoming Rule calls for increasing the size of the House to bring the average representative-to-constituent ratio as close as possible to that of the least populous state, which is currently Wyoming. Every ten years, the formula would be adjusted based on the population of the least populous state, and the size of the House would be adjusted accordingly. Based on the 2020 census, implementation of the Wyoming Rule would increase the House to 574 seats, leaving every state other than Wyoming, Alaska, North Dakota, and Vermont with at least two representatives. Nationwide, each representative would have an average of 572,000 constituents, helping end representation disparities and bringing Congress closer to the ideal of “one person, one vote.”
A potential problem with the Wyoming Rule is that if the population of the smallest states increased, constituent-to-representative ratios would increase nationwide. Conversely, if the population of the smallest state decreased, the size of the House might increase dramatically. In short, pegging the ratio to a varying denominator would generate instability in House and district size. Under some apportionment years (most recently 1990), enactment of the Wyoming Rule could have resulted in wider disparities between states. Implementation of this proposal would need to be combined with other proposals to ensure it fulfills its mission of reducing state representation disparities.
2. Cube Root Law: Add 258 Seats
In many nations, the number of seats in the lower legislative chamber adheres roughly to the cube root of the population. The cube root of a number is a smaller number that, multiplied by itself three times, produces the number. For example, the cube root of 8 is 2, because 2 x 2 x 2 = 8. The cube root of 331,449,281 (the U.S. population according to the 2020 census) is 692.05. Under the Cube Root Law, the U.S. House would have 692 seats.
As explained in greater detail in Part VI, the cube root is a fairly strong indicator of the size of lower legislative chambers across global democracies. In fact, the United States has one of the largest gaps between chamber size and the cube root of its population. Implementation of the Cube Root Law would result in an adjustment of the size of the House every ten years based on population.
Detractors point to a few issues with the Cube Root Law, particularly the fact that its initial implementation would add too many seats to the House at once (a critique that would also apply to all of the other proposals outlined below). This could be mitigated by adopting a formula of expansion that would bring the House in line with the cube root of the population gradually. Another concern is district size. Following the one-time addition of seats to bring the House in line with the cube root, future expansions would still result in an increase in average district size over time.45 A final concern is one of messaging: because it uses a formula based on mathematical calculation, the Cube Root Law is simply not as easy to market to lawmakers or the American public as some of the other proposals for House expansion.
3. Least Variation: Add between 474 and 579 Seats
The current apportionment method results in disparities between state representative ratios. Rhode Island’s population is only slightly larger than Montana’s but, under the 2010 apportionment, Rhode Island had two seats while Montana had one, meaning Rhode Island representatives had almost half the number of constituents as Montana’s lone congressperson. In Wesberry v. Sanders (1963), the Supreme Court ruled that, within states, districts must be roughly equal in population. Could the same standard be applied across states? Based on the 2020 census, the ideal size for least variation would be a House between 909 and 1,014 seats, which would mean each representative averaged between 364,000 and 326,000 constituents.
Such an expansion, though, would be too large to sell politically. The appeal of this proposal is to reduce variation as much as possible but, in most circumstances, the Wyoming Rule represents a more feasible solution to expand the House while ensuring relatively even district size.
4. Restore Historical Ratios: Add 1,165/6,065/8,965 Seats
In the 1st Congress, each representative had about 35,000 constituents. Under James Madison’s first proposed amendment to the Constitution, once the House reached 200 members, it would retain a ratio of 50,000 people per representative. In 1913, when the House was expanded to 435, each representative had 211,000 constituents. Restoring any of these formulas would entail a dramatic expansion that would bring the House closer in line with the vision of the nation’s founders. A return to the 1790 ratio would yield a House of roughly 9,400 seats; Madison’s first amendment would yield roughly 6,500 seats; while the 1913 ratio would yield roughly 1,600 seats.
**Between two parts of the article: records of molecules:**
'''
Formula: C20H9Cl2IIrN4O5S3
Source: the Open Molecules 2025 dataset
Level of theory: ωB97M-V/def2-TZVPD

ORCA input file:
```
! wB97M-V def2-TZVPD RIJCOSX def2/J DEFGRID3
* xyz -1 1
Ir -0.4635 1.0477 -1.0892
Cl 3.4896 -0.3628 4.6528
C 2.1950 -0.2797 3.4938
C 1.1009 -1.0935 3.6468
C 0.0608 -1.0386 2.7249
I -1.6296 -2.2533 2.9606
C 0.0593 -0.1858 1.6160
O -0.8901 -0.1631 0.7583
C 1.1999 0.6763 1.4959
N 1.1858 1.5413 0.4576
C 2.1737 2.3866 0.2977
C 3.2877 2.4039 1.1523
C 3.3356 1.5342 2.2055
C 2.2686 0.6368 2.4245
H 1.0430 -1.7722 4.4858
H 2.1122 3.0711 -0.5346
H 4.0885 3.1047 0.9674
H 4.1730 1.5275 2.8890
S -2.0603 2.6422 0.1684
C -3.2075 2.3344 -1.0575
S -2.5354 1.6181 -2.4698
C -4.5610 2.5994 -0.9475
C -5.1490 3.2059 0.1855
N -5.6618 3.7002 1.0916
C -5.4476 2.2007 -1.9778
N -6.1798 1.8505 -2.7965
O 2.7948 2.8316 -2.8051
Cl 1.7439 1.9406 -3.1683
O 1.7131 1.7476 -4.5700
O 0.4666 2.5030 -2.7219
O 1.9152 0.6684 -2.4952
S -2.7246 -3.0879 -1.1347
C -2.3794 -1.5006 -1.7088
N -1.1430 -1.1364 -1.6746
C -0.3354 -2.1505 -1.1741
C 1.0438 -2.0808 -0.9772
C 1.6798 -3.1491 -0.3805
C 0.9701 -4.2911 0.0003
C -0.3891 -4.3884 -0.2146
C -1.0348 -3.3103 -0.8069
H -3.1778 -0.8620 -2.0550
H 1.5792 -1.1964 -1.2906
H 2.7446 -3.0982 -0.1956
H 1.4925 -5.1124 0.4721
H -0.9474 -5.2595 0.0993
*
```

Results
DFT total energy	-105568.8103	eV
highest occupied orbital energy (spin up / spin down)	-5.554 / -5.591	eV

=====

Formula: C20H9Cl3N2O7PdS2
Source: the Open Molecules 2025 dataset
Level of theory: ωB97M-V/def2-TZVPD

ORCA input file:
```
! wB97M-V def2-TZVPD RIJCOSX def2/J DEFGRID3
* xyz -2 1
Pd 0.3700 0.2264 0.7854
Cl -3.6031 -1.7319 -5.1540
C -2.6256 -0.9661 -3.9176
C -1.7764 -1.7301 -3.1428
C -1.0081 -1.1185 -2.1686
Cl 0.1014 -2.1072 -1.2679
C -1.0616 0.2676 -1.8925
O -0.3821 0.8791 -0.9896
C -1.9403 0.9889 -2.7440
Cl -2.0520 2.7077 -2.5129
C -2.7065 0.4033 -3.7301
H -1.6991 -2.7978 -3.2905
H -3.3628 1.0112 -4.3364
O 6.9943 2.1280 1.0766
C 6.3592 2.0609 0.0092
O 6.6782 2.4129 -1.1443
C 4.8803 1.6139 0.1569
C 4.0007 1.7216 -0.9137
C 2.6851 1.3250 -0.7705
N 2.2377 0.8201 0.3793
C 3.0669 0.7042 1.4286
C 4.3871 1.0969 1.3518
C 2.4342 0.1275 2.6821
O 3.0899 0.0028 3.6990
O 1.1797 -0.1875 2.5567
H 4.3709 2.1140 -1.8505
H 1.9516 1.4004 -1.5620
H 5.0286 1.0068 2.2163
O -2.7559 -2.3070 0.3693
S -1.9625 -1.9799 1.5247
O -0.8560 -2.8364 1.8315
N -1.5081 -0.4007 1.4758
C -2.1290 0.3796 2.3732
S -1.9403 2.0107 2.5538
C -3.0535 -0.4227 3.2391
C -3.8494 0.0194 4.2832
C -4.6104 -0.9131 4.9730
C -4.5832 -2.2637 4.6265
C -3.7913 -2.7075 3.5767
C -3.0363 -1.7622 2.9103
H -3.8506 1.0712 4.5368
H -5.2336 -0.5906 5.7982
H -5.1830 -2.9719 5.1849
H -3.7561 -3.7509 3.2922
*
```

Results
DFT total energy	-100921.0017	eV
highest occupied orbital energy	-3.286	eV

=====

Formula: C20H9Cl4F6N3O6S2Ti
Source: the Open Molecules 2025 dataset
Level of theory: ωB97M-V/def2-TZVPD

ORCA input file:
```
! wB97M-V def2-TZVPD RIJCOSX def2/J DEFGRID3
* xyz -2 1
Ti -0.2172 -0.3724 -0.2538
'''
Arguments against these proposals are fairly simple: each would be too dramatic of an expansion to be feasible. While they would restore one founder’s vision of the chamber, an expansion to a House of more than 1,000 seats would need to be undertaken extremely gradually and with a dramatic rethinking of how the chamber functions.
Figure 2
Gap between Largest and Smallest Districts by Potential House Size

Source: Author calculations of projected district allocation and size based on 2020 census data using the Huntington-Hill method.